Now work out how many lines underneath have the word "eV" in them; a number is enough.

-- begin --
{
  "formula": "RbNiPb2F8",
  "functional": "PBE with a Hubbard U",
  "state": "relaxed",
  "total_energy_ha_per_atom": -0.16154,
  "cell": [[-1.2689, -5.0439, 0.4598], [1.5790, -1.4187, -5.0674], [7.0969, -2.1040, 0.4273]],
  "species": ["Rb", "F", "F", "F", "F", "F", "F", "F", "F", "Pb", "Pb", "Ni"],
  "frac_coords": [[0.0000, 0.0000, 0.5000], [0.9601, 0.6916, 0.2362], [0.2810, 0.0710, 0.1108], [0.7190, 0.9290, 0.8892], [0.4989, 0.7437, 0.4916], [0.2099, 0.7895, 0.8914], [0.0399, 0.3084, 0.7638], [0.5011, 0.2563, 0.5084], [0.7901, 0.2105, 0.1086], [0.5218, 0.6070, 0.2256], [0.4782, 0.3930, 0.7744], [0.0000, 0.0000, 0.0000]]
}

* * * * *

Material: YPW4
Method: DFT, PBE
State: optimized geometry

POSCAR file:
```
YPW4
1.0
0.000 3.821 3.821
3.821 0.000 3.821
3.821 3.821 0.000
Y P W
1 1 4
Direct
0.000 0.000 0.000 Y
0.750 0.750 0.750 P
0.375 0.375 0.375 W
0.375 0.375 0.874 W
0.375 0.874 0.375 W
0.874 0.375 0.375 W
```

Computed properties:
- Energy of formation: 3.46 eV per formula unit
- SG: F-43m (216)

---

Material: Pm4ZnSCl2
Method: DFT, PBE
State: optimized geometry

POSCAR file:
```
Pm4ZnSCl2
1.0
7.069 0.000 0.000
0.000 4.035 0.000
-2.409 0.000 7.037
Pm Zn S Cl
4 1 1 2
Direct
0.232 0.000 0.221 Pm
0.245 0.500 0.768 Pm
0.755 0.500 0.232 Pm
0.768 0.000 0.779 Pm
0.500 0.000 0.000 Zn
0.000 0.500 0.000 S
0.000 0.000 0.500 Cl
0.500 0.500 0.500 Cl
```

Computed properties:
- E_form (uncorrected): -1.272 eV per atom
- SG: P2/m (10)

---

Material: BeAlP2S
Method: DFT, PBE
State: optimized geometry

POSCAR file:
```
BeAlP2S
1.0
4.619 0.000 0.000
0.000 4.619 0.000
0.000 0.000 4.555
Be Al P S
1 1 2 1
Direct
0.000 0.000 0.000 Be
0.500 0.500 0.500 Al
0.000 0.500 0.500 P
0.500 0.000 0.500 P
0.500 0.500 0.000 S
```

Computed properties:
- E_form (uncorrected): 0.944 eV per atom
- SG: P4/mmm (123)
- Energy relative to the lowest polymorph listed for this composition: 394.3 meV/atom

---

Material: Tb3TlFe3
Method: DFT, PBE
State: optimized geometry

POSCAR file:
```
Tb3TlFe3
1.0
9.673 0.000 0.000
-4.836 8.377 0.000
0.000 0.000 3.939
Tb Tl Fe
6 2 6
Direct
0.071 0.685 0.250 Tb
0.315 0.386 0.250 Tb
0.386 0.071 0.750 Tb
0.614 0.929 0.250 Tb
0.685 0.614 0.750 Tb
0.929 0.315 0.750 Tb
0.333 0.667 0.750 Tl
0.667 0.333 0.250 Tl
0.020 0.866 0.750 Fe
0.134 0.153 0.750 Fe
0.153 0.020 0.250 Fe
0.847 0.980 0.750 Fe
0.866 0.847 0.250 Fe
0.980 0.134 0.250 Fe
```

Computed properties:
- Energy of formation: -0.50 eV per formula unit
- SG: P6_3/m (176)

---

Copy entry 2 word for word.
Material: Pm4ZnSCl2
Method: DFT, PBE
State: optimized geometry

POSCAR file:
```
Pm4ZnSCl2
1.0
7.069 0.000 0.000
0.000 4.035 0.000
-2.409 0.000 7.037
-- stop --

4